More than 93% of climate changeʻs impact is on the Oceans. Sea levels rise, temperatures rise, acidic levels rise, fishstocks deplete, and coral bleaches. Low-lying, small islands in the Pacific are disproportionately at risk of losing land and livelihood. Sea levels will rise an expected 10-32 inches (by the late 21st century, according to data from the UN. Pukapuka sits forty-feet at its highest point and three feet at its lowest point. Its not a question of if, but a question of when.
The International Union for Conservation of Nature (IUCN) highlights the importance of indgenous people in conserving lands, seas, and resources. Those reliant on their environment have traditional management practices that contributes to biodiversity, food security, and the sustainable use of resources. The close relationship of indigenous peoples to their enviornment also means they are often the first and most servely impacted by climate change.
Pukapukans have survived on a two sqaure mile coral for the last two thousand years thanks to a rich scientific knowledge of their enviornment. Pukapukans have a wealth of management practices that ensures biodiversity, food security, and the sustainable use of resources. This atoll has stories.
Te Ipukarea Society is a member based non-government, civil society environmental organisation. Established in 1996, it is a member of the International Union for Conservation of Nature and Birdlife International. Its mission is to promote the balance and harmony between Cook Islands people and the enviornment. Projects inlcude protecting biodiversity, managing waste, promoting ecologically sustainable development, youth training, and climate change resiliency. Visit their website to join and contribute.
Koreo O Te Orau is an environmental non-governmental organisation incorporated in 2017. The name translates as knowledge of the sky, land, and sea. The organisation is made up of Cook Islanders passionate about protecting the culture, environment, and natural resources of the nation. Focal areas include terrestrial and marine research, working with indigenous leaders, education through school environmental programs, and media outreach.
Greta Thunberg, a 16 year old climate activist explains the urgency of the cause and why we have to change policy and legislation.
This Changes Everything: Capitalism vs. the Climate by Naomi Klein
United Nations Climate Change Summit
/*
[1]
Below is a geometry-optimized VGaPb2O6 structure, with properties calculated at the r²SCAN level.

Cell and atoms, written as POSCAR:
```
VGaPb2O6
1.0
0.000 3.882 3.882
3.882 0.000 3.882
3.882 3.882 0.000
O Ga V Pb
6 1 1 2
direct
0.256 0.256 0.744 O
0.744 0.744 0.256 O
0.744 0.256 0.256 O
0.744 0.256 0.744 O
0.256 0.744 0.256 O
0.256 0.744 0.744 O
0.000 0.000 0.000 Ga
0.500 0.500 0.500 V
0.250 0.250 0.250 Pb
0.750 0.750 0.750 Pb
```

* size of the total moment: 0.0 μB per cell
* calculated total energy: -192.6 eV per cell
* volume: 11.7 A^3/atom
* ΔH_f (0 K): -1.86 eV/atom



[2]
Below is a geometry-optimized Nd12InPt7 structure, with properties calculated at the r²SCAN level.

Cell and atoms, written as POSCAR:
```
Nd12InPt7
1.0
-6.041 6.041 7.269
6.041 -6.041 7.269
6.041 6.041 -7.269
Pt Nd In
14 24 2
direct
0.374 0.874 0.248 Pt
0.874 0.626 0.500 Pt
0.020 0.520 0.151 Pt
0.869 0.020 0.500 Pt
0.631 0.131 0.151 Pt
0.250 0.250 0.000 Pt
0.480 0.631 0.500 Pt
0.126 0.374 0.500 Pt
0.369 0.869 0.849 Pt
0.750 0.750 0.000 Pt
0.980 0.480 0.849 Pt
0.131 0.980 0.500 Pt
0.626 0.126 0.752 Pt
0.520 0.369 0.500 Pt
0.935 0.216 0.865 Nd
0.284 0.565 0.135 Nd
0.571 0.852 0.135 Nd
0.177 0.676 0.853 Nd
0.648 0.929 0.865 Nd
0.716 0.435 0.864 Nd
0.635 0.135 0.500 Nd
0.135 0.635 0.500 Nd
0.429 0.148 0.865 Nd
0.824 0.324 0.147 Nd
0.148 0.284 0.719 Nd
0.784 0.648 0.719 Nd
0.852 0.716 0.281 Nd
0.065 0.784 0.135 Nd
0.865 0.365 0.500 Nd
0.565 0.429 0.281 Nd
0.929 0.065 0.281 Nd
0.216 0.352 0.281 Nd
0.352 0.071 0.135 Nd
0.365 0.865 0.500 Nd
0.676 0.823 0.500 Nd
0.323 0.177 0.500 Nd
0.435 0.571 0.719 Nd
0.071 0.935 0.719 Nd
0.000 0.000 0.000 In
0.500 0.500 0.000 In
```

* size of the total moment: 0.0 μB per cell
* calculated total energy: -1511.9 eV per cell
* volume: 26.5 A^3/atom
* ΔH_f (0 K): -1.00 eV/atom

=====

(1)
An optimized crystal structure of CaCu2Sn2O8. Source: the Materials Project, functional PBE.

Cell lengths 6.317, 9.006, 12.969 Å; angles 90.00, 94.00, 90.00 degrees
Fractional positions:
Ca: 0.123 0.169 0.485
Ca: 0.123 0.331 0.985
Ca: 0.877 0.669 0.015
Ca: 0.877 0.831 0.515
Cu: 0.264 0.693 0.833
Cu: 0.264 0.807 0.333
Cu: 0.390 0.060 0.878
Cu: 0.390 0.440 0.378
Cu: 0.610 0.560 0.622
Cu: 0.610 0.940 0.122
Cu: 0.736 0.193 0.667
Cu: 0.736 0.307 0.167
Sn: 0.087 0.047 0.173
Sn: 0.087 0.453 0.673
Sn: 0.437 0.576 0.153
Sn: 0.437 0.924 0.653
Sn: 0.563 0.076 0.347
Sn: 0.563 0.424 0.847
Sn: 0.913 0.547 0.327
Sn: 0.913 0.953 0.827
O: 0.016 0.241 0.646
O: 0.016 0.259 0.146
O: 0.106 0.109 0.887
O: 0.106 0.391 0.387
O: 0.196 0.562 0.051
O: 0.196 0.938 0.551
O: 0.215 0.017 0.322
O: 0.215 0.483 0.822
O: 0.301 0.608 0.295
O: 0.301 0.892 0.795
O: 0.335 0.005 0.091
O: 0.335 0.495 0.591
O: 0.451 0.250 0.424
O: 0.451 0.250 0.924
O: 0.459 0.148 0.674
O: 0.459 0.352 0.174
O: 0.541 0.648 0.826
O: 0.541 0.852 0.326
O: 0.549 0.750 0.076
O: 0.549 0.750 0.576
O: 0.665 0.505 0.409
O: 0.665 0.995 0.909
O: 0.699 0.108 0.205
O: 0.699 0.392 0.705
O: 0.785 0.517 0.178
O: 0.785 0.983 0.678
*/
The Cook Islands is a self-governing nation of 15 islands in the Pacific Ocean. The Cook Islands Exclusive Economic Zone (EEZ) covers almost two million square kilometers of ocean. Traditional leaders work with the government and local NGOs on solutions to mitigate the impact ofclimate change.
The Rʻaui/Lauhi system in the Cook Islands protects a particular resource or area for a given period of time. This ingenious system requires careful environmental monitoring. For example, rather then protecting coconut crabs indefinitely, there is a ban put on them when they are scarce and when in abundance the ban is lifted. Traditional leaders continually monitor and change the rules around harvesting and prohibition. The Rʻaui/Lauhi systsem is especially adept at monitoring reef and marine species. Pukapuka, Mangaia, Manihiki, Penryhn, and most of the outlying islands practice this system. Suwarrow and Takutea are protected atolls where fish and bird species thrive.
# Crystal structures, as found in the file
Eu3Zr: optimized geometry, PBE.

Unit cell a=6.2794 b=6.2794 c=6.2794 alpha=131.13 beta=131.13 gamma=71.61
With the nearest neighbours (Å) after each atom.
Sites, in units of the cell vectors:
Eu  0.5000  0.5000  0.0000  8 Eu 3.64, 4 Zr 3.67
Eu  0.7500  0.2500  0.5000  8 Eu 3.64-3.67, 4 Zr 3.64
Eu  0.2500  0.7500  0.5000  8 Eu 3.64-3.67, 4 Zr 3.64
Zr  0.0000  0.0000  0.0000  12 Eu 3.64-3.67

Properties
* energy relative to the lowest polymorph listed for this composition: 0.0000 eV/atom
* crystal system: tetragonal

---

GaF3: optimized geometry, PBE.

Unit cell a=5.0897 b=5.0897 c=5.3094 alpha=61.36 beta=61.36 gamma=60.00
With the nearest neighbours (Å) after each atom.
Sites, in units of the cell vectors:
F  0.3590  0.1410  0.7500  2 Ga 1.92
F  0.1410  0.7500  0.7500  2 Ga 1.92
F  0.7500  0.3590  0.7500  2 Ga 1.92
F  0.6410  0.8590  0.2500  2 Ga 1.92
F  0.2500  0.6410  0.2500  2 Ga 1.92
F  0.8590  0.2500  0.2500  2 Ga 1.92
Ga  0.5000  0.5000  0.5000  6 F 1.92
Ga  0.0000  0.0000  0.0000  6 F 1.92

Properties
* crystal system: trigonal
* DFT total energy: -4.77 eV per atom

---

K2GaP2H3O8F2: optimized geometry, PBE.

Unit cell a=8.3933 b=4.7962 c=11.0085 alpha=86.44 beta=90.00 gamma=90.00
With the nearest neighbours (Å) after each atom.
Sites, in units of the cell vectors:
H  0.0162  0.0214  0.2468  1 O 1.11
H  0.6603  0.9524  0.0229  1 O 1.01
H  0.5162  0.9786  0.7532  1 O 1.11
H  0.1603  0.0476  0.9771  1 O 1.01
H  0.3406  0.0436  0.4783  1 O 1.00
H  0.8406  0.9564  0.5217  1 O 1.00
F  0.5908  0.6844  0.1015  1 H 1.61
F  0.4079  0.3206  0.3957  1 H 1.66
F  0.0908  0.3156  0.8985  1 H 1.61
F  0.9079  0.6794  0.6043  1 H 1.66
K  0.5986  0.4909  0.5794  5 O 2.72-2.87, 2 F 2.74-2.77
K  0.3984  0.5014  0.9157  5 O 2.71-2.88, 2 F 2.74-2.79, 2 H 2.98-3.00
K  0.0986  0.5091  0.4206  5 O 2.72-2.87, 2 F 2.74-2.77
K  0.8984  0.4986  0.0843  5 O 2.71-2.88, 2 F 2.74-2.79, 2 H 2.98-3.00
O  0.3939  0.1405  0.7209  1 H 1.32
O  0.3134  0.7535  0.2416  1 P 1.52
O  0.6187  0.8417  0.7793  1 H 1.11
O  0.7873  0.0972  0.4639  1 H 1.00
O  0.8959  0.7626  0.8591  1 P 1.53
O  0.7121  0.0945  0.9642  1 H 1.01
O  0.6912  0.2489  0.2562  1 P 1.54
O  0.2121  0.9055  0.0358  1 H 1.01
O  0.1912  0.7511  0.7438  1 P 1.54
O  0.1122  0.2363  0.6449  1 P 1.54
O  0.2873  0.9028  0.5361  1 H 1.00
O  0.3959  0.2374  0.1409  1 P 1.53
O  0.6122  0.7637  0.3551  1 P 1.54
O  0.8939  0.8595  0.2791  1 H 1.32
O  0.8134  0.2465  0.7584  1 P 1.52
O  0.1187  0.1583  0.2207  1 H 1.11
Ga  0.5037  0.5007  0.2502  2 F 1.95, 4 O 1.98-2.01
Ga  0.0037  0.4993  0.7498  2 F 1.95, 4 O 1.98-2.01
P  0.7675  0.9847  0.8359  4 O 1.52-1.61
P  0.7424  0.9857  0.3329  4 O 1.54-1.61
P  0.2424  0.0143  0.6671  4 O 1.54-1.61
P  0.2675  0.0153  0.1641  4 O 1.52-1.61

Properties
* crystal system: monoclinic
* DFT total energy: -5.92 eV per atom

---

GaH9N3F3: optimized geometry, PBE.

Unit cell a=7.4290 b=8.3012 c=8.6957 alpha=90.58 beta=90.00 gamma=90.00
With the nearest neighbours (Å) after each atom.
Rarotonga, the main island reliant on tourism, has recently looked at reinstating parts of this system. Capitalism and indigenous systems of conservation often clash with one another. Seabed mining and commercial fishing as revenue sources for the country clash with the Rʻaui/Lauhi indigenous system of conservation. Seabed mining and large scale commercial fishing are hotly contested issues that traditional leaders, NGOʻs, and government in the Cook Islands are working to resolve.
Marae Moana is currently the largest commitment by a single country for integrated marine management and conservation. This multiple-use marine park extends over the entire Exclusive Economic Zone of the Cook Islands, an area of 1.9 million square kilometres. When declaring the Marae Moana Act 2017, Prime Minister Henry Puna said at the time, “With the full support of my government, traditional leaders and local communities, as well as the past contributions by the present Opposition, the Marine Park will provide the necessary framework to promote sustainable development by balancing economic growth interests such as tourism, fishing and deep-sea mining, with conserving core biodiversity and natural assets, in the ocean, reefs and islands”.
Seabed mining and the selling of large scale commercial fishing licenses within the Marae Moana remain controversial. No commercial fishing zones for 50 nautical miles around each of the 15 islands recently passed. Conservationist Jacqueline Evans is the Director of the Marae Moana Coordination Office and has to balance the economicc interests of the government with the environmental interests of conservation. She recently received the prestigious 2019 Goldman Environmental Prize ( . Her acceptance speech includes looking at legislation to protect the rights of then ocean. Jacque Evans acceptance speech:
Throughout Polynesia, a version of the story of how the demigod Maui snarred the sun exists. La/Ra the Sun God travelled too fast for the people to finish their work. Maui snarred him and slowed him down with ropes. The Sun God made a deal with Maui that half the year he would slow down to have longer days. This would help people grow food, fish, and hunt. The other half of the year he would move quickly and have shorter days. Thanks to Maui the power of the sun was harnaressed for the benefit of the people.
Many of the areas most affected by climate change already have warm climates and can harness the power of the sun. Solar power eliminates the cost and polluting emissions of diesel. Diesel has to be shipped to many of these island nations leaving a large carbon footprint.
The Cook Islands plans to be 100% solar by 2020. New Zealand, Australia, Japan, UNDP, SPREP, SIDS-DOCK, and the Asian Development Bank have all provided funding. The Northern Group atolls of Rakahanga, Pukapuka, Nassau, Tongareva, and Manihiki are all fully solar powered by photovolatic batteries and local workers manage the system. The Southern islands are well on their way with Mangaia complete.The Cook Islands plans on eliminating fossil fuels and being 100% solar by 2020. Given that Maui snarred the sun, this is the perfect time for Polynesia to re-snare the sun. Reference
Next to the piece, the page also holds records of crystals:
-- begin --
# CaV6O23

Crystalline CaV6O23 at its relaxed geometry (GGA+U, the Materials Project).

Geometry as POSCAR:
```
CaV6O23
1.0
10.8257 0.0000 0.0000
0.0000 3.6762 0.0000
-0.7308 0.0000 12.5595
Ca V O
1 6 23
Direct
0.0000 0.0000 0.0000 Ca
0.4130 0.5000 0.7086 V
0.4473 0.0000 0.3148 V
0.4981 0.5000 0.9679 V
0.5700 0.0000 0.5510 V
0.6283 0.5000 0.1996 V
0.6450 0.0000 0.8009 V
0.1016 0.5000 0.0803 O
0.1873 0.0000 0.9341 O
0.2179 0.0000 0.4393 O
0.2805 0.5000 0.6437 O
0.3076 0.0000 0.2616 O
0.3846 0.5000 0.8441 O
0.4002 0.5000 0.0599 O
0.4317 0.0000 0.4592 O
0.4765 0.0000 0.7124 O
0.4991 0.5000 0.3105 O
0.5375 0.0000 0.9314 O
0.5422 0.5000 0.5898 O
0.5734 0.0000 0.2089 O
0.6357 0.5000 0.8233 O
0.6464 0.5000 0.0592 O
0.6778 0.0000 0.4670 O
0.7033 0.0000 0.6802 O
0.7660 0.5000 0.2558 O
0.8148 0.0000 0.8810 O
0.9018 0.5000 0.5843 O
0.9084 0.0000 0.4825 O
0.9138 0.0000 0.8220 O
0.9805 0.5000 0.1038 O
```

Summary:
**Space-group type**: Pm (6)
**E (MP2020)**: -6.820 eV per atom
**Crystal system**: monoclinic
**Total magnetization**: 10.001 μB per cell
**Raw total energy**: -190.69 eV per cell

# CaV5O7

Crystalline CaV5O7 at its relaxed geometry (GGA+U, the Materials Project).

Geometry as POSCAR:
```
CaV5O7
1.0
1.5570 -5.0728 0.0000
1.5570 5.0728 0.0000
0.0000 0.0000 18.0140
Ca V O
2 10 14
Direct
0.2100 0.7900 0.5000 Ca
0.7900 0.2100 0.0000 Ca
0.0031 0.9969 0.7472 V
0.2739 0.7261 0.1783 V
0.2751 0.7249 0.8237 V
0.4601 0.5399 0.3990 V
0.4596 0.5404 0.5981 V
0.5404 0.4596 0.0981 V
0.5399 0.4601 0.8990 V
0.7249 0.2751 0.3237 V
0.7261 0.2739 0.6783 V
0.9969 0.0031 0.2472 V
0.0856 0.9144 0.3582 O
0.0873 0.9127 0.6368 O
0.1665 0.8335 0.9222 O
0.1685 0.8315 0.0782 O
0.3681 0.6319 0.2905 O
0.3696 0.6304 0.7097 O
0.4602 0.5398 0.9986 O
0.5398 0.4602 0.4986 O
0.6304 0.3696 0.2097 O
0.6319 0.3681 0.7905 O
0.8315 0.1685 0.5782 O
0.8335 0.1665 0.4222 O
0.9127 0.0873 0.1368 O
0.9144 0.0856 0.8582 O
```

Summary:
**Space-group type**: Cmc2_1 (36)
**Energy above the most stable polymorph in this dataset**: 0.163 eV per formula unit
**E (MP2020)**: -8.761 eV per atom
**Crystal system**: orthorhombic
**Total magnetization**: 6.055 μB per cell
**Raw total energy**: -201.16 eV per cell

# Ca2V3O8

Crystalline Ca2V3O8 at its relaxed geometry (GGA+U, the Materials Project).

Geometry as POSCAR:
```
Ca2V3O8
1.0
5.6354 -3.1228 0.0000
5.6354 3.1228 0.0000
-1.7903 0.0000 4.6367
Ca V O
2 3 8
Direct
0.2239 0.2239 0.1624 Ca
0.7761 0.7761 0.8376 Ca
0.2312 0.7688 0.5000 V
0.5000 0.5000 0.0000 V
0.7688 0.2312 0.5000 V
0.1035 0.1035 0.4550 O
0.1761 0.6144 0.1117 O
0.3856 0.8239 0.8883 O
0.4007 0.4007 0.6050 O
0.5993 0.5993 0.3950 O
0.6144 0.1761 0.1117 O
0.8239 0.3856 0.8883 O
0.8965 0.8965 0.5450 O
```

Summary:
**Space-group type**: C2/m (12)
**Energy above the most stable polymorph in this dataset**: 0.000 eV per formula unit
**E (MP2020)**: -8.312 eV per atom
**Crystal system**: monoclinic
**Raw total energy**: -97.46 eV per cell

# CaV4O15
-- stop --
Here the piece continues:
In 2012, following more than a century of petitions and legal action by local iwi (Maori tribal group), the Whanganui river in New Zealand was granted the legal status of a person under the name Te Awa Tupua. This legal victory means that the river now enjoys the same rights and responsibilities before the law as people (and corporations!). The New Zealand government has officially recognised the river as a source of great physical and spiritual sustenance to the people who live alongside it. This precedent-setting legal case is the first time the rights of a river have been guaranteed in this way, opening up exciting possibilities for protecting, and changing how we understand our relationship with, the natural world. The Cook Islands is looking at doing this for its ocean through the Marae Moana initiative.
Many of the islands most effected by warming oceans and rising tides rely on diesel powered cargo boats for service. These cargo diesel boats leave a large carbon footprint. A few small cargo vessels are making an effort to rely on wind and solar power to reduce their carbon footprint.
One of these sailing vessels, the KWAI SV, provides much needed goods throughout Kiribati and the Northern Cook Islands. Relying primarily on sail with a back-up diesel engine means that KWAI is one of the only vessels in the world providing a regular cargo service under sail. Harnessing wind power cuts down on the costs of diesel and carbon emissions.
The Okeanos Foundation has also been exploring sustainable sea transport. Three small traditional Polynesian sailboats (vakas) in Vanuatu, Marshall Islands, the Marianas, and French Polynesia. They are also experimenting with coconut oil powered engines, solar powered engines, and solar-hybrid propulstion systems. The goal is to have reliable fossil-free transport of pepole, food, medicine and supplies between Pacific islands. The model of wind and solar powered boats (vakas) to provide sustainable sea transport is a beautiful solution for the future taken from the past.
Coral farming is the process whereby fragments of corals are collected from the local reefs, raised in nurseries until mature, and then installed at the restoration site. After decades of scientific, small-scale, and community-based projects around the world, its been shown to be a viable method for restoring degraded reefs. With the advent of innovative coral farming techniques, now is the time to launch large-scale restoration efforts to revive and protect the valuable coral reef resources that are at risk. The Cook Islands has done small scall coral farming on the atoll of Aitutaki. The Aitutaki Marine Research Centre grows and then plants live coral and young paʻua (ginat clams) into the Aitutaki lagoon. This project could grow and become a part of eco-tourism.
Ocean farming has the potential to restore ecosystems, mitigate climate change, create jobs, and support food security. In Long Island Sound, a network of cooperatives called GreenWave has been growing shellfish and seaweed for food, biofuel and fertilizer without use of freshwater or other inputs — making it one of the most sustainable forms of food production on the planet. GreenWave’s model is open-source. The potential of replication is tremendous: a network of small ocean farms about the size of Washington state could feed the world and, as biofuel, replace all the oil in the United States, while simultaneously capturing five times the amount of carbon as land-based plants.